| - I have to admit that I can't stop going to Carly's even though I KNOW I shouldn't!
Good: I can't get enough of the Cape Cod salad! It is really somethin' special, that ain't no lie. Also the soup is always flavorful.
Bad: Has nothing to do with the food. It is all about the atmosphere, which is oppressive in an I'm-so-unique-and-talented-and-you-are-smelly-dung sort of way. Staff is pretentious and lazy. They think they must be pretty lofty individuals for working there but that doesn't mean they LIKE to work, for god's sake.... The owner. She is somewhat friendly, but beware. She is the person who created this environment, and it becomes easy to believe once she starts bragging about how well-off she is. So congratulations everyone! We support these immature little weasels who scorn this gross human ritual we indulge ourselves in: being a customer, AND apparently we have made the owner a rich woman but shhhhhh! She's still the kewlest of the kewl.
Data records, as found in the file =
- - -
Diffraction record for Ti5MnIr2Pt2. The powder diffraction line list is calculated, not measured: it uses a PBE-relaxed structure and Cu Kα.
Neutral-atom scattering factors, no anomalous dispersion.

Structure:
```
data_Ti5MnIr2Pt2
_chemical_formula_sum 'Ti10 Mn2 Ir4 Pt4'
_cell_length_a 10.564
_cell_length_b 10.564
_cell_length_c 2.901
_cell_angle_alpha 90.00
_cell_angle_beta 90.00
_cell_angle_gamma 90.00
_symmetry_space_group_name_H-M 'P 4/m b m'
_symmetry_Int_Tables_number 127
_symmetry_space_group_name_Hall '-P 4 2ab'
loop_
_atom_site_label
_atom_site_type_symbol
_atom_site_fract_x
_atom_site_fract_y
_atom_site_fract_z
Ti1 Ti 0.000 0.500 0.000
Ti2 Ti 0.130 0.150 0.000
Mn1 Mn 0.000 0.000 0.500
Ir1 Ir 0.146 0.354 0.500
Pt1 Pt 0.153 0.653 0.500
```

Main lines, most intense first (2θ from 10° to 80°):
2θ = 41.21°, intensity 100; 2θ = 33.94°, intensity 51; 2θ = 26.69°, intensity 42; 2θ = 48.16°, intensity 41; 2θ = 11.85°, intensity 38; 2θ = 76.05°, intensity 35; 2θ = 36.07°, intensity 26; 2θ = 30.82°, intensity 23; 2θ = 48.76°, intensity 22; 2θ = 51.93°, intensity 20; 2θ = 46.50°, intensity 18; 2θ = 38.10°, intensity 16

---

Diffraction record for Pu2MnIr3. The powder diffraction line list is calculated, not measured: it uses a PBE-relaxed structure and Cu Kα.
Neutral-atom scattering factors, no anomalous dispersion.

Structure:
```
data_Pu2MnIr3
_chemical_formula_sum 'Pu6 Mn3 Ir9'
_cell_length_a 5.4978
_cell_length_b 5.4978
_cell_length_c 12.1873
_cell_angle_alpha 90.00
_cell_angle_beta 90.00
_cell_angle_gamma 120.00
_symmetry_space_group_name_H-M 'R -3 m'
_symmetry_Int_Tables_number 166
_symmetry_space_group_name_Hall '-R 3 2"'
loop_
_atom_site_label
_atom_site_type_symbol
_atom_site_fract_x
_atom_site_fract_y
_atom_site_fract_z
Pu1 Pu 0.0000 0.0000 0.1226
Mn1 Mn 0.0000 0.0000 0.5000
Ir1 Ir 0.0000 0.5000 0.0000
```

Main lines, most intense first (2θ from 10° to 80°):
2θ = 38.53°, intensity 100; 2θ = 39.59°, intensity 81; 2θ = 34.96°, intensity 65; 2θ = 40.69°, intensity 49; 2θ = 41.63°, intensity 41; 2θ = 68.24°, intensity 32; 2θ = 59.67°, intensity 29; 2θ = 73.85°, intensity 25; 2θ = 32.57°, intensity 24; 2θ = 64.35°, intensity 23; 2θ = 62.87°, intensity 21; 2θ = 66.54°, intensity 19

---

Diffraction record for PuMnSi2Ir. The powder diffraction line list is calculated, not measured: it uses a PBE-relaxed structure and Cu Kα.
Neutral-atom scattering factors, no anomalous dispersion.

Structure:
```
data_PuMnSi2Ir
_chemical_formula_sum 'Pu2 Mn2 Si4 Ir2'
_cell_length_a 3.966
_cell_length_b 3.966
_cell_length_c 10.402
_cell_angle_alpha 90.00
_cell_angle_beta 90.00
_cell_angle_gamma 90.00
_symmetry_space_group_name_H-M 'I -4 m 2'
_symmetry_Int_Tables_number 119
_symmetry_space_group_name_Hall 'I -4 -2'
loop_
_atom_site_label
_atom_site_type_symbol
_atom_site_fract_x
_atom_site_fract_y
_atom_site_fract_z
Pu1 Pu 0.000 0.000 0.000
Mn1 Mn 0.000 0.500 0.750
Si1 Si 0.000 0.000 0.383
Ir1 Ir 0.000 0.500 0.250
```
- - -
UPDATE: Received an annoying email from the owner (the husband) who instructed me give " *constructive criticism* " and not make a personal attack or be petty. My review was neither of those things. I do not know John, nor do I know Carla. I only know what I experience when I have lunch at their place of business. The staff was rude and lazy. The owner DID brag. The food I always order is good. Get a grip buddy.
I was honest about my experience for OTHER PEOPLE who are considering spending their cash on food there. I am not in the least concerned about the owners or the staff personally, but apparently John thinks I ought to be. I ought to see how great Carla is. In fact, he goes into detail about how great Carla is. It's nice to witness a man standing up for his lady. It would almost cause me to add a star up there, but sorry, no can do. His improper use of the possessive apostrophe SEVERAL times canceled that out (okay, now that was petty -my bad).
I'd advise John to concentrate on things other than trolling around yelp, chastising his own customers, whose business supports that fancy paint and the famously zombie-like staff. Maybe the staff is just following John's lead when they don't focus on creating a positive experience for their customers?
Honestly, I remain puzzled as to why John would bother to bother me. I go into a small restaurant to find the owner bragging. That is part of my experience and I will continue to post reviews featuring owners, and how they carry themselves.
As for the "personal attack" on Carla, I will not retract what I said just because John is butthurt and whines about it. I will say this: Carla has probably been in the restaurant several of the many times I have dined there, but I perceived the bragging only one time. I doubt anyone who read my review would label this person a braggart based on that one experience of mine, and as I said before- it did not and would not stop me from going back.
I will be back. I will order the food and enjoy the food, but since that's not the only part of the dining experience, I will tolerate the negative things because the food I regularly order is consistently good.